Reefs Reduce 97 Percent of Wave Energy on Coasts

We have a lot of stake in the coast. Coastal waters are where we host fisheries, build homes and turn to for tourism and recreation. So how should coastal communities, which comprise nearly 40 percent of the world’s population, safeguard against flooding, erosion and violent weather? Marine scientist Michael Beck suggests the solution is growing right beneath some waves and, in many cases, it has been waiting there for thousands of years.
Reefs Reduce 97 Percent of Wave Energy on Coasts
Many species, not just human beings, depend on coral reefs for sustenance and protection. Photo credit: Curt Storlazzi.

We have a lot of stake in the coast. Coastal waters are where we host fisheries, build homes and turn to for tourism and recreation. So how should coastal communities, which comprise nearly 40 percent of the world’s population, safeguard against flooding, erosion and violent weather? Marine scientist Michael Beck suggests the solution is growing right beneath some waves and, in many cases, it has been waiting there for thousands of years. 

Beck, who leads the coastal defense research group of Science for Nature and People and the Nature Conservancy’s Global Marine Team, coauthored a study with lead author Filippo Ferrario of the University of Bologna, Italy, and several other scientists, in which they assessed coral reefs’ ability to reduce ocean wave energy. They discovered that, on average, coral reefs can reduce wave energy by 97 percent. Their study holds broad implications for the 200 million people who live within 31 miles of coral reefs. 

“We knew that reefs break waves and reduce their energy,” said Beck, who was surprised by the findings. “We were not expecting to see a 97 percent reduction, though. But it really is that consistent and that strong across all the data.” The team of scientists analyzed more than 255 studies on coral reefs and the buffering effect they have on waves that pass through them. When reefs break waves, they found, the process begins at the reef crest. 

Coral reefs are composed of two parts: the crest and the flat. The crest is the tallest part of the reef, and it sees the most wave action. The study found that the majority (86 percent) of wave energy is reduced at the reef crest alone. The rest of the work is handled by the sprawling, broad flat, the part of the reef you sometimes see at low tide. After the crest, the first 150 meters (500 feet) of the flat mitigates half of the wave’s remaining energy. 

The reef’s ability to dampen waves also depends on two physical qualities: height and roughness. Taller crests can handle taller waves, and coral species with rough texture can reduce wave energy more than ones with smooth texture. With the reef’s important qualities identified and their wave-reducing abilities properly measured, coastal engineers can begin looking at reefs as honest defenses against natural hazards, and even compare them with artificial structures. 

(Data records that have nothing to do with the entry)
=====
Entry 1:
216
Properties=species:S:1:pos:R:3:lowdin_charge:R:1 method="wB97M-V/def2-TZVPD" charge=+4 e_tot_ha=-3653.0763
C 6.9441 0.6315 -4.7718 -0.06
O 5.6797 0.1347 -4.3029 -0.20
C 4.5865 0.9206 -4.7181 -0.23
C 3.3217 0.2912 -4.1924 -0.07
N 2.1166 0.7437 -5.0077 0.06
H 1.9615 1.7526 -4.9342 0.18
H 2.3213 0.5597 -5.9928 0.19
C 0.7978 0.1104 -4.6099 -0.08
C -0.3214 0.6055 -5.4557 -0.21
O -0.4901 2.0195 -5.4386 -0.21
C -1.6438 2.3925 -6.1879 -0.07
H 7.1413 1.6445 -4.4235 0.09
H 6.9649 0.4865 -5.8538 0.11
H 7.6478 -0.1025 -4.3815 0.10
H 4.5740 0.9926 -5.8125 0.14
H 4.6660 1.9302 -4.2943 0.13
H 3.1421 0.5941 -3.1629 0.13
H 3.3551 -0.7881 -4.3330 0.15
H 0.7703 0.2757 -3.5305 0.13
H 0.9082 -0.9511 -4.8364 0.15
H -1.2480 0.1741 -5.0593 0.13
H -0.1546 0.2949 -6.4944 0.15
H -2.5512 1.8933 -5.8328 0.10
H -1.5818 2.2155 -7.2634 0.10
H -1.7366 3.4547 -5.9675 0.10
C -0.5482 7.4375 -0.6351 -0.04
O -0.7289 6.0409 -0.3322 -0.20
C 0.4387 5.4050 0.0863 -0.24
C 0.2390 3.8961 0.1090 -0.07
N 0.2699 3.3070 -1.3021 0.06
H 1.1894 3.3901 -1.7349 0.16
H 0.2155 2.2799 -1.3096 0.10
C -0.8354 3.6848 -2.2744 -0.07
C -2.1011 2.8629 -2.0432 -0.19
O -2.6968 3.2774 -0.8545 -0.18
C -3.7491 2.4062 -0.4586 -0.06
H -1.1087 7.5755 -1.5630 0.10
H 0.4865 7.7225 -0.8102 0.10
H -1.0866 8.0434 0.0926 0.08
H 0.9232 5.7798 0.9972 0.13
H 1.2753 5.5739 -0.6168 0.13
H -0.7527 3.5573 0.4033 0.10
H 1.0635 3.3696 0.5861 0.13
H -0.3458 3.4233 -3.2197 0.11
H -0.8837 4.7624 -2.4163 0.13
H -1.7836 1.8098 -2.0171 0.12
H -2.7271 2.9418 -2.9368 0.15
H -4.4366 2.2172 -1.2917 0.09
H -4.3479 2.7112 0.3942 0.08
H -3.3603 1.3971 -0.2635 0.09
C -4.0597 -1.5773 5.3202 -0.07
O -4.0813 -2.0670 3.9913 -0.21
C -3.0064 -1.5891 3.1910 -0.17
C -3.2212 -1.7454 1.6888 -0.06
N -4.7075 -1.7279 1.3589 0.06
H -5.0326 -0.9341 1.9040 0.17
H -4.8412 -1.5362 0.3638 0.09
C -5.5083 -2.9854 1.6118 -0.07
C -4.9084 -4.1079 0.7725 -0.20
O -4.6733 -3.8215 -0.5834 -0.23
C -5.8488 -3.8352 -1.3876 -0.07
H -3.0545 -1.5841 5.7504 0.09
H -4.7451 -2.1067 5.9737 0.10
H -4.3894 -0.5301 5.2971 0.08
H -2.1646 -2.2498 3.4266 0.11
H -2.7960 -0.5896 3.5866 0.11
H -2.7118 -2.4867 1.0812 0.10
H -3.0537 -0.7625 1.2343 0.11
H -6.5204 -2.7122 1.3184 0.14
H -5.3725 -3.2580 2.6536 0.12
H -5.5443 -4.9933 0.8732 0.14
H -3.9558 -4.3742 1.2372 0.13
H -6.4763 -2.9817 -1.1241 0.09
H -6.4077 -4.7631 -1.2267 0.10
H -5.5081 -3.7971 -2.4195 0.09
C -5.6678 4.0984 6.0344 -0.07
C -4.8917 3.6730 4.7910 -0.22
C -3.5086 4.3122 4.7324 -0.12
N -2.7911 4.1403 3.4044 -0.25
C -3.4543 4.7717 2.2058 -0.09
C -3.5548 6.2884 2.4071 -0.13
C -2.2605 7.0109 2.8010 -0.14
C -1.3400 6.1929 3.7272 -0.14
C -1.3670 4.6757 3.5603 -0.10
C -2.6955 2.6555 3.1044 0.01
H -6.7075 3.7963 5.9622 0.09
H -5.6132 5.1702 6.2370 0.09
H -5.1519 3.6695 6.8963 0.09
H -5.4410 3.9067 3.8786 0.11
H -4.7149 2.6020 4.9071 0.10
H -2.8595 3.8866 5.5011 0.14
H -3.4800 5.3803 4.9382 0.12
H -4.4457 4.3401 2.0885 0.12
H -2.8859 4.4647 1.3269 0.12
H -4.2670 6.5520 3.1925 0.12
H -3.9313 6.6859 1.4650 0.13
=====
(The entry goes on)

The study found that coral reefs reduced wave height by 51 to 74 percent, while artificial structures like breakwaters reduced wave height by 30 to 70 percent. The study also estimated that reefs cost less than artificial structures. The authors compared the price of coral restoration projects with the price of building breakwaters and found that the latter, on average, costs 15 times more than restoration projects. 

However, coral reefs around the world are threatened by ocean acidification, global warming, and other human-caused phenomena. As more CO2 enters the atmosphere, it’s absorbed by the ocean, which makes the water more acidic and dissolves the calcium carbonate corals use to build their structures. Rising ocean temperatures can kill the symbiotic algae corals depend on to photosynthesize and make food, which may lead to “coral bleaching.” Their ability to photosynthesize is also dependent on water depth. If sea levels rise faster than corals can grow, they run the risk of getting lost in the depths where it’s too dark for them to produce energy. Coal mining and overfishing are also taking a toll on coral reefs around the world. 

So, can coral reefs be considered affective barriers in the long term if they’re dissolving from acidification and sinking in rising seas? Beck addressed this concern by claiming that artificial structures have their own weaknesses. 

## Misplaced records of molecules
Below is a structure of composition C25H48AlCl3N4O3SSi in a non-equilibrium geometry, with properties calculated with wB97M-V/def2-TZVPD.

For the HOMO-LUMO gap, the calculation gives 5.43 eV. The relative energy (zero: lowest compared OMol25 entry of this formula, charge and spin) is 135.0 kcal per mole. The value obtained for the total energy is -3736.9159 a.u.

The geometry in XYZ format:
```
86
Properties=species:S:1:pos:R:3:lowdin_charge:R:1
C -1.684 -2.082 -4.467 -0.058
C -1.091 -2.871 -3.351 -0.259
H -2.002 -2.727 -5.294 0.073
H -0.960 -1.337 -4.825 0.074
H -2.530 -1.508 -4.070 0.081
C -0.559 -4.110 -3.482 -0.136
C -0.028 -4.648 -4.770 -0.133
H -0.432 -4.762 -2.606 0.096
H 0.517 -3.897 -5.358 0.072
H -0.818 -5.052 -5.408 0.062
H 0.676 -5.460 -4.550 0.060
Al -0.703 0.931 0.229 -0.469
Cl -1.520 -0.233 1.897 0.321
Cl 1.008 2.100 -2.406 0.547
H 1.588 4.058 2.861 0.101
H -0.947 5.667 2.933 0.107
C 1.550 4.542 1.868 0.019
C -0.610 5.814 1.893 -0.014
N 0.153 4.659 1.397 -0.133
H 2.162 3.987 1.144 0.109
C -0.527 3.686 0.838 -0.190
O 0.029 2.572 0.509 -0.050
H -1.489 5.927 1.247 0.100
H -1.601 3.845 0.681 0.166
H 1.936 5.569 1.967 0.096
H 0.021 6.710 1.848 0.097
H 1.725 -0.576 -3.005 0.056
H 3.047 -3.226 -1.603 0.101
C 2.696 -0.434 -2.523 -0.089
C 3.568 -2.325 -1.240 -0.022
N 2.671 -1.146 -1.259 -0.131
H 2.907 0.621 -2.370 0.029
C 1.951 -0.715 -0.216 -0.215
O 1.020 0.168 -0.255 -0.089
H 3.981 -2.523 -0.247 0.096
H 2.216 -1.205 0.730 0.110
H 3.471 -0.879 -3.149 0.085
H 4.397 -2.134 -1.936 0.087
O -0.053 -1.119 -2.532 -0.249
C -0.917 -2.056 -2.090 -0.485
C 0.388 -3.326 -0.189 -0.055
C -0.811 -2.877 -0.730 -0.144
H 1.320 -2.902 -0.555 0.062
C 0.403 -4.316 0.803 -0.090
H -1.899 -1.558 -1.942 0.067
C -1.996 -3.257 -0.089 -0.052
H 1.360 -4.698 1.165 0.099
C -0.791 -4.810 1.331 -0.122
C -2.000 -4.248 0.898 -0.097
H -2.935 -2.795 -0.394 0.114
H -0.781 -5.602 2.085 0.098
H -2.941 -4.585 1.334 0.098
Si 0.331 3.507 -3.719 0.118
Cl -2.623 0.813 -0.714 0.295
C 1.599 4.480 -4.700 -0.197
C -0.578 4.653 -2.520 -0.227
C -0.844 2.651 -4.842 -0.202
H 2.472 3.874 -5.005 0.036
H 1.992 5.382 -4.200 0.033
H 1.089 4.806 -5.606 0.024
H -0.419 1.716 -5.235 0.043
H -1.047 3.350 -5.672 0.037
H -1.778 2.423 -4.301 0.048
H -1.341 4.088 -1.978 0.014
H -1.083 5.479 -3.053 0.037
H 0.072 5.122 -1.761 0.022
C 0.081 1.799 4.280 -0.127
N -0.403 0.603 4.963 -0.209
C -1.659 0.821 5.690 -0.056
C -0.173 -0.614 4.381 -0.814
S 0.764 -0.801 2.999 0.630
N -0.771 -1.686 5.036 -0.238
C -0.299 -1.864 6.411 -0.070
C -0.886 -2.933 4.281 -0.109
H 0.112 2.616 5.005 0.083
H -0.577 2.073 3.448 0.058
H 1.081 1.597 3.889 0.048
H -1.942 -0.082 6.237 0.072
H -1.498 1.648 6.398 0.090
H -2.480 1.103 5.007 0.096
H -0.966 -2.582 6.902 0.091
H 0.731 -2.258 6.441 0.098
H -0.332 -0.906 6.936 0.073
H -1.498 -2.761 3.391 0.059
H 0.096 -3.296 3.949 0.061
H -1.362 -3.678 4.921 0.087
```

=====

--- A ---
DFT (ωB97M-V/def2-TZVPD) results for one molecule with the formula C6H16N2.

Positions of all 24 atoms, in Å:

“We have the same concerns about hard infrastructure as well,” he said. “A little bit of sea level rise has huge effects on our sea walls and breakwaters, making them less viable. Let’s look at this all on fair footing.” 

Beck also suggested that reefs are more resilient than many believe. “We do have grave concerns for reef health in the future,” he said, “but we aren’t nearly as doom and gloom as you might read.” Many of the reefs that were damaged during the major El Niño bleaching event of 1998, for example, have since recovered. 

Before engineers and governments can begin seriously investing in coral restoration as a coastal defense, they will need to understand which reefs bestow the greatest impact, and thus which reefs warrant the most attention. Scientists like Beck are working now to uncover that information, and may soon provide policy makers with greater reason to consider coral reefs as a feasible defense to natural hazards. 


  • Ferrario, F., Beck, M. W., Storlazzi, C. D., Micheli, F., Shepard, C. C., & Airoldi, L. (2014). The effectiveness of coral reefs for coastal hazard risk reduction and adaptation. Nature communications, 5.

This article was originally written and published by Brendan Bane, a contributing writer for